-- Exercise --
Retype the rows underneath without additions, please.

-- Entries --
<<<
Compound: Sr20V15O49
Source: Alexandria
Functional: PBE+U
Structure: relaxed

Calculated values
Electronic total energy, eV/atom: -7.155

```
data_Sr20V15O49
_chemical_formula_sum 'Sr40 V30 O98'
_symmetry_space_group_name_H-M 'I 4'
_symmetry_Int_Tables_number 79
_symmetry_space_group_name_Hall 'I 4'
_cell_length_a 8.777
_cell_length_b 8.777
_cell_length_c 28.316
_cell_angle_alpha 90.00
_cell_angle_beta 90.00
_cell_angle_gamma 90.00
loop_
_atom_site_label
_atom_site_fract_x
_atom_site_fract_y
_atom_site_fract_z
Sr1 0.000 0.000 0.000
Sr2 0.000 0.000 0.133
Sr3 0.000 0.000 0.266
Sr4 0.000 0.000 0.401
Sr5 0.100 0.301 0.497
Sr6 0.102 0.308 0.902
Sr7 0.103 0.312 0.630
Sr8 0.104 0.309 0.768
V1 0.000 0.000 0.558
V2 0.000 0.000 0.693
V3 0.000 0.000 0.849
V4 0.100 0.300 0.200
V5 0.103 0.299 0.338
V6 0.104 0.299 0.059
O1 0.000 0.000 0.486
O2 0.000 0.000 0.632
O3 0.000 0.000 0.911
O4 0.000 0.500 0.061
O5 0.000 0.500 0.201
O6 0.000 0.500 0.335
>>>

-- Response --
Compound: Sr20V15O49
Source: Alexandria
Functional: PBE+U
Structure: relaxed

Calculated values
Electronic total energy, eV/atom: -7.155

```
data_Sr20V15O49
_chemical_formula_sum 'Sr40 V30 O98'
_symmetry_space_group_name_H-M 'I 4'
_symmetry_Int_Tables_number 79
_symmetry_space_group_name_Hall 'I 4'
_cell_length_a 8.777
_cell_length_b 8.777
_cell_length_c 28.316
_cell_angle_alpha 90.00
_cell_angle_beta 90.00
_cell_angle_gamma 90.00
loop_
_atom_site_label
_atom_site_fract_x
_atom_site_fract_y
_atom_site_fract_z
Sr1 0.000 0.000 0.000
Sr2 0.000 0.000 0.133
Sr3 0.000 0.000 0.266
Sr4 0.000 0.000 0.401
Sr5 0.100 0.301 0.497
Sr6 0.102 0.308 0.902
Sr7 0.103 0.312 0.630
Sr8 0.104 0.309 0.768
V1 0.000 0.000 0.558
V2 0.000 0.000 0.693
V3 0.000 0.000 0.849
V4 0.100 0.300 0.200
V5 0.103 0.299 0.338
V6 0.104 0.299 0.059
O1 0.000 0.000 0.486
O2 0.000 0.000 0.632
O3 0.000 0.000 0.911
O4 0.000 0.500 0.061
O5 0.000 0.500 0.201
O6 0.000 0.500 0.335